Say how many lines of the calculation results below hold the word "Values", as a bare number, please.

-- begin --
[1]
Molecular formula: C29H30MnN5O4
Method: DFT, wB97M-V/def2-TZVPD

Values from the calculation:
Lowest unoccupied orbital energy (spin up / spin down): -0.018 / -0.016 hartree
Orbital gap (spin up / spin down): 7.081 / 7.368 eV
2S+1: 5

Geometry (Å):
1 Mn 0.23123 0.24653 0.20955
2 O 4.91887 4.04195 -5.33243
3 O 1.11668 -1.57406 -3.02471
4 O 1.63413 -0.36568 -1.20925
5 O 6.21695 2.39907 -5.82918
6 N 1.13800 0.58366 1.94622
7 N -0.49642 -1.23541 1.30428
8 N 5.21654 2.86016 -5.31055
9 N -0.24659 2.19590 -0.17441
10 N -1.19212 0.03048 -1.07886
11 C -2.22821 4.05437 -2.68605
12 C -1.16086 -2.38835 0.72333
13 C 2.63917 0.22815 -3.25468
14 C -1.67270 -1.28323 -1.48807
15 C 0.34090 3.35785 0.48076
16 C -1.12581 -1.96554 4.87482
17 C 2.69742 2.47594 -0.08670
18 C -3.72045 2.09745 -2.87788
19 C 0.57660 0.55394 4.29024
20 C 0.47217 0.04861 2.98362
21 C 3.22085 1.84313 1.19870
22 C -0.78085 -0.95749 5.76933
23 C -1.76989 1.12039 -1.58060
24 C -1.21475 3.58960 -1.87963
25 C -3.41735 3.43322 -3.05287
26 C 4.31000 1.94070 -4.63180
27 C -0.93934 -2.02574 3.51352
28 C 3.08703 2.40981 -4.17302
29 C 2.21813 1.50457 2.29667
30 C 4.68998 0.61993 -4.44759
31 C -0.01995 0.15558 5.47942
32 C -0.93805 -2.41358 -0.78309
33 C -1.08777 2.36208 -1.18115
34 C 1.70773 -0.66813 -2.45670
35 C 3.84902 -0.23422 -3.75599
36 C -0.37693 -1.09374 2.60924
37 C 1.77499 3.68626 0.03840
38 C -2.95613 1.07664 -2.33039
39 C 2.25341 1.54627 -3.49087
40 H 2.18599 1.70968 -0.66301
41 H -1.64136 -2.81470 5.30981
42 H 1.81013 2.44494 2.68851
43 H -4.14938 4.04353 -3.56642
44 H 5.63579 0.28435 -4.84676
45 H -4.68153 1.78160 -3.26858
46 H 0.12825 -2.33512 -0.99469
47 H 3.75314 0.93131 0.91430
48 H -1.12147 -1.06658 6.79103
49 H -0.29058 4.23428 0.32049
50 H -1.52958 -1.39480 -2.56644
51 H 1.16051 1.45709 4.38336
52 H 1.28715 1.89015 -3.14091
53 H 3.94820 2.51354 1.66520
54 H 4.13654 -1.26657 -3.60730
55 H -1.32549 -2.92340 3.05073
56 H 2.19101 4.42042 0.73543
57 H -0.39304 4.27869 -1.73288
58 H 2.81129 3.43810 -4.35729
59 H -2.74236 -1.38561 -1.26254
60 H 3.56766 2.76826 -0.67747
61 H 0.16505 0.81656 6.31944
62 H -2.09392 5.06278 -3.06277
63 H 1.72894 4.16831 -0.94307
64 H -1.29518 -3.36058 -1.18799
65 H 2.79570 1.04756 3.10686
66 H -0.75177 -3.30828 1.15333
67 H 0.31758 3.15392 1.55173
68 H -3.39171 0.09356 -2.43474
69 H -2.23699 -2.36206 0.94189


[2]
Molecular formula: C29H30NO4V
Method: DFT, wB97M-V/def2-TZVPD

Values from the calculation:
Lowest unoccupied orbital energy (spin up / spin down): -0.018 / -0.158 hartree
Orbital gap (spin up / spin down): 5.107 / 1.133 eV
2S+1: 3

Geometry (Å):
1 V 0.39343 -0.14322 0.60560
2 O -1.20748 -0.95765 3.38592
3 O 0.94072 -2.01755 -3.00922
4 O -3.88710 -3.24943 1.29092
5 O -1.81673 -1.81927 1.37706
6 N 0.92328 0.11615 -4.02652
7 C -2.94628 -2.52013 3.37205
8 C -4.94858 -3.92719 3.30983
9 C 2.38229 0.20077 1.49290
10 C 2.83778 -0.66646 -0.95873
11 C -1.90868 -1.69963 2.66276
12 C 2.43805 -0.82603 0.49348
13 C 1.61388 -0.29234 2.60653
14 C 1.68253 4.19279 -3.05395
15 C -0.96800 3.35880 -3.30994
16 C -1.68592 0.98703 0.64049
17 C -3.98067 -3.25329 5.43638
18 C 0.64476 5.07020 -2.71995
19 C -3.92377 -3.22907 2.62633
20 C -0.85062 1.33241 1.75256
21 C 0.06963 2.44206 -3.55120
22 C -1.07698 1.49991 -0.53822
23 C 0.29156 2.04578 1.24616
24 C 1.12708 -0.80340 -2.98987
25 C 0.16148 2.12370 -0.16863
26 C 1.68901 -1.96474 1.00854
27 C 3.44791 -2.00479 -1.36719
28 C 1.48530 -0.23361 -1.64504
29 C -2.98961 -2.54381 4.76907
30 C -0.68502 4.65301 -2.86027
31 C -4.95692 -3.94177 4.69931
32 C -0.26132 1.00298 -3.88916
33 C 1.39563 2.87998 -3.46997
34 C 1.25530 -1.64019 2.33481
35 C 3.88288 0.43383 -1.11186
36 H 1.38846 0.27138 3.51432
37 H 3.95669 -1.93213 -2.32899
38 H -5.73532 -4.49563 5.22661
39 H -3.04625 -2.69943 1.06192
40 H 0.93559 -0.32770 -4.93440
41 H -1.50116 5.34167 -2.62576
42 H -2.00725 3.04939 -3.45895
43 H 0.87071 6.07685 -2.35900
44 H 4.73533 0.23962 -0.44449
45 H -5.71099 -4.44397 2.72235
46 H 1.44962 0.85445 -1.76296
-- stop --

2